App Permissions Google

### Unrelated to this page: data records
~~~
The following is a meta-GGA r2SCAN calculation of an optimized crystal structure of Er7FeI12, from Materials Project.

Cell lengths 9.598, 9.598, 9.598 Å; angles 107.06, 107.06, 107.06 degrees
Sites, in units of the cell vectors:
Er 0.000 0.000 0.000
Er 0.213 0.480 0.410
Er 0.410 0.213 0.480
Er 0.480 0.410 0.213
Er 0.520 0.590 0.787
Er 0.590 0.787 0.520
Er 0.787 0.520 0.590
Fe 0.500 0.500 0.500
I 0.036 0.114 0.340
I 0.114 0.340 0.036
I 0.177 0.572 0.727
I 0.273 0.823 0.428
I 0.340 0.036 0.114
I 0.428 0.273 0.823
I 0.572 0.727 0.177
I 0.660 0.964 0.886
I 0.727 0.177 0.572
I 0.823 0.428 0.273
I 0.886 0.660 0.964
I 0.964 0.886 0.660

Summary:
The electronic total energy is -573.24 eV for the cell shown.


--- a ---
Material: LiCuPO4
Method: DFT, PBE-GGA
State: optimized geometry

Geometry as extended XYZ:
```
28
Lattice="9.4926 0.0000 0.0000 0.0000 6.1517 0.0000 0.0000 0.0000 5.0486" Properties=species:S:1:pos:R:3 pbc="T T T"
Li 0.0000 0.0000 0.0000
Li 0.0000 3.0758 0.0000
Li 4.7463 0.0000 2.5243
Li 4.7463 3.0758 2.5243
Cu 1.4759 1.5379 2.2769
Cu 3.2704 4.6138 4.8012
Cu 6.2222 1.5379 0.2474
Cu 8.0167 4.6138 2.7718
P 1.8039 4.6138 2.2681
P 2.9424 1.5379 4.7924
P 6.5502 4.6138 0.2562
P 7.6887 1.5379 2.7805
O 1.0919 3.3657 1.6706
O 1.0919 5.8618 1.6706
O 1.4298 1.5379 4.4019
O 1.5845 4.6138 3.8104
O 3.1618 1.5379 1.2861
O 3.3165 4.6138 1.8776
O 3.6544 0.2899 4.1950
O 3.6544 2.7860 4.1950
O 5.8382 3.3657 0.8537
O 5.8382 5.8618 0.8537
O 6.1761 1.5379 3.1710
O 6.3308 4.6138 3.7626
O 7.9081 1.5379 1.2382
O 8.0628 4.6138 0.6467
O 8.4007 0.2899 3.3780
O 8.4007 2.7860 3.3780
```

***

--- b ---
Material: LiCuPO4
Method: DFT, PBE-GGA
State: optimized geometry

Geometry as extended XYZ:
```
168
Lattice="9.9532 0.0000 0.0000 -4.9766 8.6197 0.0000 0.0000 0.0000 22.8129" Properties=species:S:1:pos:R:3 pbc="T T T"
Li -2.2172 4.1744 0.0717
Li -4.4416 8.1087 19.0108
Li 0.1750 0.7188 11.4065
Li -1.9323 4.3981 15.2554
Li -2.1351 4.7742 7.5815
Li 0.7100 0.2078 15.2086
Li 1.9095 4.3836 22.7901
Li -0.2016 8.0941 0.0468
Li -0.2528 8.4526 7.6760
Li 2.5065 4.0073 3.8739
Li 2.1339 4.7472 7.6511
Li 0.2255 8.0816 15.1858
Li 4.7510 0.5381 3.7793
Li 2.8427 3.8725 19.0575
Li 2.4700 4.6123 15.2803
Li 5.2294 0.1671 19.0825
Li 5.1781 0.5256 11.4532
Li 3.0671 4.2361 11.3836
Li 4.2666 8.4119 3.8022
Li 7.1116 3.8455 18.9879
Li 6.9089 4.2216 3.8489
Li 4.8016 7.9009 0.0000
Li 9.4182 0.5110 7.6043
Li 7.1938 4.4453 11.4782
Cu -0.4221 2.5955 2.0920
Cu -2.7033 7.1743 2.2661
Cu 0.1151 2.6915 17.4747
Cu -2.0960 6.7541 18.1180
Cu -2.5177 7.6875 9.6963
Cu 0.1754 3.4274 10.5137
Cu 2.0367 1.6633 5.8942
Cu 2.3884 1.2460 21.2769
Cu -0.0151 5.6230 20.4707
Cu -0.0993 5.8213 5.2621
Cu 0.1145 5.7951 12.8664
Cu 3.0559 1.5618 14.3159
Cu 1.9207 7.0579 2.9094
Cu 4.8621 2.8246 1.4599
Cu 5.0759 2.7984 16.6685
Cu 4.9917 2.9967 9.0642
Cu 2.5881 7.3737 9.8704
Cu 2.9399 6.9563 17.3006
Cu 4.8012 5.1923 21.9202
Cu 7.4943 0.9322 21.1028
Cu 7.0726 1.8656 6.7116
Cu 4.8615 5.9282 6.0683
Cu 7.6798 1.4454 13.6726
~~~
These permissions have to be explicitly granted by the user at that moment, and not just when the app is installed. See below for an example. To help you better manage runtime permissions for Android apps*, we’re introducing two new settings in the Admin console for customers using Google Mobile Management .
App permissions google. Search in Google Play. Tap gently on About this app.. The app’s info section. Scroll down to the end of the new menu. In the App info section, there is a line called App permissions.Tap on See more, which appears just to the right.. Access to the app’s permissions Bug fixes. Extract APK feature added. The application will require storage access permission to store the extracted APK in internal storage. Permissions Logos and Trademarks. Google Maps, and Google Earth, have built-in print or (for Earth Studio) export functionality.. as app icons or featured in an app; Be aware: App updates can add new “sub-permissions” in a category without asking you again. For example, even if an app only uses the “read phone status and identity” permission in the Phone category and you choose to allow “Phone” access, a future update to the app could add the “Directly call phone numbers; this may cost you money,” and “Reroute outgoing calls” permissions.
App Permissions: An Overview. In simple words, permissions are special rights that an app must have, in order to function properly. It can either be a permission for the hardware aspect of your. App permissions explained. Body Sensors – allows access to your health data and step count, from paired heart-rate monitors, fitness trackers, and other sensors. Calendar – allows apps to read. App Permission gives you comprehensive list of permissions used by an application and their detailed explanations instantly along with their count. Very simple and best rated! Do you know some of the apps installed on your device can quietly:- * Cost you money * Sniff your messages and calls * Track your locations/places you visit * Corrupt your system configurations * Read your contacts. See app permissions on Google Play before you install. When viewing an app description in Google Play, scroll down to the developer info at the bottom of the screen and tap “Permission details” to see which permissions the app will ask for.
Here's more info on what permissions allow an app to do: Access all your files, peripheral devices, apps, programs, and registry: The app has the ability to read or write to all your files (including documents, pictures, and music) and registry settings, which allows the app to make changes to your computer and settings. When you install an app from Google Play on a device running Android 6.0 and up or on a Chromebook, you control which capabilities or information that app can access—known as permissions. For example, an app might want permission to see your device contacts or location. You can control which permissions an app can access after the app. If the device is running Android 5.1 (API level 22) or lower, or the app's targetSdkVersion is 22 or lower, the system asks the user to grant the permissions at install time. Once again, the system just tells the user what permission groups the app needs, not the individual permissions. For example, when an app requests READ_CONTACTS the install dialog lists the Contacts group. For example, a film editing app may edit your video and upload it to your YouTube channel, or an event planning app may create events on your Google Calendar, with your permission. Full account access. If you give a site or app full account access, it can see and change nearly all information in your Google Account.
Search the world's information, including webpages, images, videos and more. Google has many special features to help you find exactly what you're looking for. Users attempting to authorize such apps may see a warning screen saying the app is unverified by Google. See OAuth client verification for details. Revoking access rights. To revoke a script's access to your data, follow these steps: Visit the permissions page for your Google account. Description: Use the chrome.permissions API to request declared optional permissions at run time rather than install time, so users understand why the permissions are needed and grant only those that are necessary.: Availability: Since Chrome 35. Learn More: Declaring permissions Real-time meetings by Google. Using your browser, share your video, desktop, and presentations with teammates and customers.